• Data:
........
A 2-piece molecular cluster, C6H15N2 overall in a non-equilibrium geometry, computed with wB97M-V/def2-TZVPD.

Atoms and positions in Å:
C (0.08644, 1.08936, 0.69189)
C (-2.56374, 0.17894, 0.44742)
C (0.20523, -1.40243, 0.50459)
C (2.24470, 0.09468, 0.39427)
C (0.61293, 0.03054, -1.56644)
C (0.82671, -0.03793, 0.02148)
N (-3.00376, -1.01887, 0.14887)
N (-0.13373, 2.29267, 0.13410)
H (0.02906, 0.99902, 1.71744)
H (-3.30161, 0.84601, 0.82965)
H (0.93093, -2.19666, 0.32920)
H (-0.54161, -1.54410, -0.26118)
H (-0.21115, -1.48980, 1.46610)
H (2.81688, -0.79759, 0.23581)
H (2.92215, 0.92095, -0.06447)
H (2.32288, 0.29114, 1.45525)
H (1.09659, 0.80334, -2.09019)
H (-0.42945, 0.17734, -2.01172)
H (0.91592, -0.96267, -2.07544)
H (-2.30844, -1.70060, -0.25727)
H (-3.85503, -1.50443, 0.36756)
H (-0.79023, 2.90985, 0.59149)
H (-0.28734, 2.21871, -0.82842)

* 2S+1: 3
* LUMO (alpha / beta): -4.68 / -5.71 eV
* charge: +1
* expectation value of S²: 2.004
* E_tot: -346.6700 hartree

Partial charges, natural (NBO), in e: 0.32, 0.05, -0.58, -0.62, -0.66, -0.15, -0.85, -0.65, 0.21, 0.17, 0.24, 0.19, 0.23, 0.25, 0.24, 0.23, 0.23, 0.23, 0.25, 0.40, 0.43, 0.43, 0.41

~~~~~

<one>
The molecule C4N2. Source: the Open Molecules 2025 dataset; level of theory: ωB97M-V/def2-TZVPD.

Each line ends with the Mulliken charge.
Positions of all 6 atoms, in Å:
1 N 1.770 -1.254 -1.058  -0.31
2 N 0.001 0.782 1.324  -0.17
3 C -0.781 1.343 0.584  0.11
4 C 0.846 -0.758 -0.561  0.17
5 C -0.293 -0.198 0.056  0.50
6 C -1.543 0.085 -0.347  -0.31

As for the charge: 0. Its highest occupied orbital energy is -11.1 eV. The value obtained for the lowest unoccupied orbital energy is -2.3 eV. As for the HOMO-LUMO gap: 8.772 eV.

=====

<two>
The molecule C4N2. Source: the Open Molecules 2025 dataset; level of theory: ωB97M-V/def2-TZVPD.

Each line ends with the Mulliken charge.
Positions of all 6 atoms, in Å:
1 N -3.227 0.201 -0.069  -0.37
2 N 3.182 0.437 0.001  -0.27
3 C -2.038 0.052 0.097  -0.06
4 C 0.604 -0.239 -0.029  0.41
5 C -0.572 -0.119 0.017  0.51
6 C 2.051 -0.332 -0.017  -0.22

The SMILES is N#CC#CC#N. As for the charge: 0. Its highest occupied orbital energy is -11.3 eV. The value obtained for the lowest unoccupied orbital energy is -1.7 eV. As for the HOMO-LUMO gap: 9.646 eV.

=====

Most stable of them? <two>.

=====

<one>
A structure of composition C18H19N3O5S. Source: the Open Molecules 2025 dataset; level of theory: ωB97M-V/def2-TZVPD.

Each line ends with the Mulliken charge.
Positions of all 46 atoms, in Å:
1 S -2.491 -1.422 -0.083  -0.17
2 O 3.683 -3.923 -0.222  -0.36
3 O -4.690 1.660 -0.308  -0.57
4 O 3.588 3.631 -0.096  -0.29
5 O 2.840 -2.106 -1.038  -0.22
6 O -4.884 -0.597 -0.946  -0.41
7 N 1.590 -0.334 1.316  -0.55
8 N 1.023 1.782 1.421  -0.11
9 N -0.071 -1.999 0.544  -0.64
10 C 2.185 -2.762 1.394  -0.93
11 C -0.922 -0.942 0.458  1.23
12 C -4.236 0.565 -0.401  0.71
13 C 3.571 -2.243 -2.130  -0.72
14 C 4.109 3.475 -1.175  -0.41
15 C 0.679 0.535 0.927  0.78
16 C -1.830 1.053 0.233  -0.54
17 C -7.121 -0.123 0.141  -1.12
18 C -0.590 0.191 0.613  -0.02
19 C 3.049 -3.084 0.072  0.31
20 C 3.627 1.394 -0.534  0.34
21 C -2.853 0.266 -0.193  0.11
22 C 2.453 2.070 1.621  -2.24
23 C -6.114 -0.203 -1.169  -0.52
24 C 4.247 2.066 -1.781  -0.51
25 C -1.963 2.643 0.537  -1.50
26 C 1.237 -1.863 0.951  0.72
27 C 3.358 2.382 0.199  -0.03
28 H 3.283 -1.258 -2.758  0.19
29 H -2.955 2.806 0.252  0.49
30 H 0.551 2.401 1.003  0.32
31 H 3.225 -3.368 -2.607  0.23
32 H 3.590 0.313 -0.592  0.38
33 H 2.556 2.867 2.109  0.77
34 H -6.371 -0.950 -1.830  0.50
35 H -1.723 2.904 1.689  0.24
36 H 4.589 -2.346 -1.996  0.36
37 H 3.022 -2.360 1.837  0.28
38 H -1.090 2.908 -0.114  0.36
39 H -8.310 0.044 -0.332  0.25
40 H -6.951 0.592 0.697  0.48
41 H 4.516 4.324 -1.630  0.52
42 H 1.812 -3.630 1.909  0.37
43 H -6.272 0.707 -1.763  0.37
44 H -6.915 -1.094 0.638  0.30
45 H 2.938 1.456 2.086  0.99
46 H 4.739 1.839 -2.818  0.29
........

• What to do:
Work out how many lines earlier on have the word "orbital" in them; a number is enough.

• Here it is:
2